PLPOA Board Meeting Minutes

The meeting was held in the yard of Jean Medway with social distancing due to the Covid-19 pandemic. Present were Jean Medway, John Hedstrom, Fred Koch, Al Betz, Julie Verhaalen and Sharon Rossebo. The minutes of the previous meeting in May were read and approved. The treasurer reported there had been little change in this month’s report other than a donation to Waushara Watershed. He reported there were only 35 members who had renewed their dues. It was decided to send an email to previous members who did not renew, as well as publishing a note on Facebook and our website.  The notice will inform recipients that their dues must be paid by August 15 in order to participate in a survey regarding “no wake” status on the lake. Each active registered property owner will have one vote. Julie prepared the notice and a form to return with dues, which she read and which was approved for posting on the website and Facebook. There was also a discussion on the logistics of conducting such a survey and whether it could be done anonymously.


Milfoil:  There is a huge patch of Milfoil on the west end of the lake, as well as lots of milfoil where all the “fish sticks” were dropped along the camp property. It was estimated there may be approximately six acres which need treatment, so next year’s treatment will be very costly. The question is whether a lot of this is hybrid and whether treatment would be effective. Fred stated he is not impressed with Lake and Ponds which we had been using, and would like to speak to a man he met to get a bid from his company. He also stated that Pine Lake is scheduled to be surveyed in August by Amy Kretlow from Golden Sands and Ann Cisac from the DNR.

Board Members:  Julie Verhaalen was appointed as an official board member effective with this meeting due to Eckhard Rahn’s resignation.  Ed Luczkowiak will not serve another term, and we thank Ed for his service and will post a note in the next newsletter. The board has received information from three property owners who would be interested in a position on the board and emails from several owners promoting the appointment of Jeff Price.  After discussing the pros and cons of each of the candidates, it was decided to offer the position to Mr. Price. He was then called from our meeting, and he came over to discuss his background. He was told he would become a voting member at the next board meeting on September 12, 2020. The other two candidates will be encouraged to place their names in nomination at the next annual meeting. The usual term of office runs from September to September. Since there has been no annual meeting or election of officers, all present board members will be up for election at next year’s annual meeting. Jean also received some requests for this year’s annual meeting to be held outdoors on the Labor Day weekend.  This would present several challenges such as requiring a sound system and the fact that most members are very busy that weekend taking in docks, boat lifts, etc., closing up after summer.

Scuba equipment:  Al received an offer of four complete sets of scuba equipment to be donated to the association.  Fred will check the equipment; if it is in good condition the association will accept it.

Springwater Township Meeting: 

Al attended the last meeting, which was limited to 20 people due to distancing.  The meeting was described as quite contentious regarding the resolution of no wake status.  It was questioned whether this is enforceable, and Everett Eckstein will check on the legality of this.  Ed Hernandez, the newest member of the board, spoke on all the damage to the lakes which would occur if no wake is not observed.  A petition was presented to the board to repeal this designation, but the board would not accept it. Results of surveys taken by lake associations will be presented to the board for consideration.  Board meetings are scheduled every second Monday of each month at 7:00 p.m.

-- Next to the article, the page also holds records of crystals --
+++
Bi2P4O13, relaxed, DFT GGA-PBEsol; raw total energy = -7.28 eV per atom; formation energy (no corrections) = -2.019 eV/atom; calculated density = 4.75 Mg/m³; M_tot = 0.0 μB/f.u.
1.0
5.996 -3.447 0.000
5.996 3.447 0.000
-3.733 0.000 12.679
Bi P O
4 8 26
direct
0.193 0.195 0.055 Bi
0.195 0.193 0.555 Bi
0.805 0.807 0.445 Bi
0.807 0.805 0.945 Bi
0.260 0.275 0.340 P
0.275 0.260 0.840 P
0.342 0.637 0.136 P
0.363 0.658 0.364 P
0.637 0.342 0.636 P
0.658 0.363 0.864 P
0.725 0.740 0.160 P
0.740 0.725 0.660 P
0.063 0.425 0.404 O
0.078 0.422 0.902 O
0.186 0.810 0.064 O
0.190 0.814 0.436 O
0.191 0.203 0.226 O
0.203 0.191 0.726 O
0.261 0.739 0.250 O
0.380 0.397 0.105 O
0.397 0.380 0.605 O
0.397 0.407 0.343 O
0.407 0.397 0.843 O
0.422 0.078 0.402 O
0.425 0.063 0.904 O
0.575 0.937 0.096 O
0.578 0.922 0.598 O
0.593 0.603 0.157 O
0.603 0.593 0.657 O
0.603 0.620 0.395 O
0.620 0.603 0.895 O
0.739 0.261 0.750 O
0.797 0.809 0.274 O
0.809 0.797 0.774 O
0.810 0.186 0.564 O
0.814 0.190 0.936 O
0.922 0.578 0.098 O
0.937 0.575 0.596 O

***

Sr3B2N4, relaxed, DFT GGA-PBEsol; raw total energy = -7.13 eV per atom; formation energy (no corrections) = -1.163 eV/atom; calculated density = 3.87 Mg/m³; M_tot = 0.0 μB/f.u.
1.0
7.594 0.000 0.000
0.000 7.594 0.000
0.000 0.000 7.594
Sr B N
9 6 12
direct
0.000 0.000 0.000 Sr
0.263 0.263 0.263 Sr
0.263 0.263 0.737 Sr
0.263 0.737 0.263 Sr
0.263 0.737 0.737 Sr
0.737 0.263 0.263 Sr
0.737 0.263 0.737 Sr
0.737 0.737 0.263 Sr
0.737 0.737 0.737 Sr
0.000 0.000 0.500 B
0.000 0.500 0.000 B
0.000 0.500 0.500 B
0.500 0.000 0.000 B
0.500 0.000 0.500 B
0.500 0.500 0.000 B
0.000 0.000 0.323 N
0.000 0.000 0.677 N
0.000 0.323 0.000 N
0.000 0.677 0.000 N
0.177 0.500 0.500 N
0.323 0.000 0.000 N
0.500 0.177 0.500 N
0.500 0.500 0.177 N
0.500 0.500 0.823 N
0.500 0.823 0.500 N
0.677 0.000 0.000 N
0.823 0.500 0.500 N

***

Zr2PW, relaxed, DFT GGA-PBEsol; raw total energy = -9.62 eV per atom; E_form = -0.18 eV per atom; calculated density = 9.48 Mg/m³; M_tot = 0.0 μB/f.u.
1.0
-1.922 1.922 4.711
1.922 -1.922 4.711
1.922 1.922 -4.711
Zr P W
2 1 1
direct
0.000 0.000 0.000 Zr
0.750 0.250 0.500 Zr
0.500 0.500 0.000 P
0.250 0.750 0.500 W

***

Ca2InGaW, relaxed, DFT GGA-PBEsol; raw total energy = -3.73 eV per atom; E_form = 1.15 eV per atom; calculated density = 4.52 Mg/m³; M_tot = 2.7 μB/f.u.
1.0
5.691 0.000 0.000
0.000 5.691 0.000
0.000 0.000 5.090
Ca In Ga W
2 1 1 1
direct
0.000 0.500 0.000 Ca
0.500 0.000 0.000 Ca
0.000 0.000 0.000 In
0.500 0.500 0.500 Ga
0.000 0.000 0.500 W

***

Tc2Ag3, relaxed, DFT GGA-PBEsol; raw total energy = -6.05 eV per atom; E_form = 0.44 eV per atom; calculated density = 11.29 Mg/m³; M_tot = 0.0 μB/f.u.
1.0
1.360 0.785 11.931
-1.360 0.785 11.931
0.000 -1.570 11.931
Tc Ag
2 3
direct
0.100 0.100 0.100 Tc
0.900 0.900 0.900 Tc
0.299 0.299 0.299 Ag
0.500 0.500 0.500 Ag
0.701 0.701 0.701 Ag

***
+++

Pictures:  Julie took photos of each of the board members to publish on the website.

Next meeting is scheduled for September 12, 2020, in Jean Medway’s yard.  Sharon moved to adjourn, seconded by Jean, and the meeting was adjourned at 11:15 a.m.

Respectfully, Sharon Rossebo, Secretary